I would like to thank everyone for getting us all very drunk.
I have almost recovered.
I would like to thank everyone for getting us all very drunk.
I have almost recovered.
AJ, if you can't deal with the comments you get on here or in the other place then I pray to $DEITY that if you're posting on El Reg (which I assume is what you're alluding to) that you don't pull this sort of attitude over there.
Oh, I'm a member over there too.
This is going to bite you on the ass.
@thanksajdotcom said:
If I decide I do want to get into management, the Expert job will be a perfect segway. It's a keyholder position, leadership position, etc. I do well at this for awhile and I don't doubt the other will just happen at the right time.
a] Congrats.
b] Segue. Just sayin'Segway is a personal transport device
@Minion-Queen said:
More the needing an escort if I have to walk somewhere on my own etc. in the city.
You need one of those for Scott...
@Minion-Queen said:
I didn't say they couldn't drink just not heavily
Staying with it is the key here.
In which case I'm out too....
You are in danger of becoming a parody. If you wish to discuss it further, please contact me via PM.
I'm actually trying to help you here.
With all due respect (and not wanting to rain on your parade/ego) that domain has been around from about 2-3 months or so after thanksaj.com appeared.
It's not really there as an honour.
And no, it's nothing to do with me.
@thanksaj said:
But why that thread, and only that thread?
@thanksaj said:
@Huw3481 said:
Ok, I'll bite.
It's an established fact that ''The Church" took existing pagan festivals and subverted them to persuade people to convert to Christianity.
### These crystal structures were left in the entry by mistake
Crystalline SiO2 at its relaxed geometry. Source: the Materials Project, functional PBE-GGA.

abc: 10.1798 10.1798 10.1798
angles: 90.00 90.00 90.00
Last column: nearest neighbours and their distance in Å.
Space group I2_13 (No. 199)
Asymmetric unit:
1 Si 0.1160 0.1538 0.7315  4 O 1.63-1.67
2 O 0.0000 0.2500 0.4251  2 Si 1.63
3 O 0.0000 0.2500 0.6676  2 Si 1.67
4 O 0.1385 0.3501 0.2445  2 Si 1.65

energy	-7.6698	eV/atom
density	2.27	g/cm3
ΔH_f (0 K)	-3.021	eV/atom

=====

Record 1
Computed, not measured: an optimized crystal structure of Na10Y4Al4Si5S7O48 at the PBE level of DFT.

ΔE_f in meV per atom: -2677
Space-group type: P1, No. 1
Crystal system: triclinic
Electronic total energy in eV/atom: -6.71
E (MP2020) in eV/cell: -1669.482

Cell lengths 17.9901, 9.0351, 22.6648 Å; angles 89.59, 89.09, 120.05 degrees
Positions (direct):
O 0.2589 0.6907 0.2640
O 0.2714 0.6626 0.8622
O 0.9696 0.7628 0.7974
Na 0.5054 0.0016 0.0083
O 0.7465 0.8356 0.0719
Na 0.9919 0.9930 0.5055
O 0.3546 0.1426 0.0389
Al 0.6571 0.7124 0.5154
Al 0.4983 0.0195 0.1563
Na 0.1778 0.6598 0.1727
Si 0.1888 0.3298 0.0890
O 0.2551 0.3638 0.4159
O 0.3962 0.9954 0.6792
O 0.4193 0.3285 0.5303
Al 0.3390 0.3564 0.1883
S 0.6587 0.3011 0.7484
Na 0.9916 0.3551 0.7550
O 0.5731 0.1494 0.0941
O 0.2851 0.8710 0.4703
O 0.0600 0.4497 0.8550
O 0.5615 0.6305 0.3568
Si 0.5158 0.6676 0.4149
O 0.8106 0.1228 0.4204
S 0.6339 0.9879 0.2524
O 0.8208 0.5210 0.6369
S 0.8034 0.9520 0.4188
Na 0.6627 0.3006 0.9306
O 0.8394 0.1286 0.0342
Si 0.0039 0.3170 0.2514
O 0.0888 0.9824 0.9163
O 0.2504 0.1548 0.6374
Si 0.0110 0.3518 0.9170
S 0.6665 0.3813 0.4198
O 0.4943 0.8100 0.0996
S 0.1680 0.9717 0.9163
O 0.9030 0.9920 0.0840
Al 0.6593 0.6413 0.0184
O 0.4767 0.1396 0.3050
O 0.5971 0.2109 0.7008
Na 0.3269 0.9997 0.2501
O 0.2583 0.8739 0.0914
O 0.0911 0.5069 0.2599
Na 0.6617 0.0351 0.4245
O 0.7518 0.1545 0.6351
S 0.4911 0.6860 0.7458
O 0.9253 0.3173 0.5302
Si 0.9905 0.6868 0.7381
O 0.0714 0.6377 0.3611
O 0.4348 0.5683 0.0359
O 0.4136 0.0164 0.0984
Si 0.6678 0.3227 0.0834
Al 0.3393 0.3525 0.4835
O 0.7661 0.8244 0.7396
Na 0.4962 0.6225 0.2599
O 0.9866 0.1818 0.3039
Na 0.6698 0.3568 0.2456
O 0.7583 0.6779 0.9726
O 0.6871 0.8641 0.5722
O 0.1753 0.8925 0.8608
Si 0.4940 0.2802 0.2524
S 0.3198 0.6639 0.9139
Na 0.8304 0.6535 0.7388
Na 0.0056 0.0094 0.0020
O 0.4398 0.3683 0.6362
O 0.7254 0.3567 0.1417
O 0.9820 0.1709 0.5867
Na 0.3299 0.9833 0.5939
Na 0.4964 0.3490 0.7582
S 0.4785 0.3531 0.5791
O 0.5787 0.4701 0.2627
O 0.0744 0.6617 0.7445
O 0.2431 0.1493 0.9166
O 0.9444 0.5421 0.1398
O 0.8107 0.0721 0.1392
S 0.4856 0.6438 0.0899
O 0.9059 0.4986 0.7274
O 0.8173 0.4953 0.2491
Na 0.9931 0.6360 0.2647
O 0.0727 0.6616 0.0831
O 0.7110 0.2964 0.0235
O 0.2279 0.3316 0.0230
Si 0.3554 0.7120 0.2500
O 0.2564 0.6217 0.5873
O 0.9104 0.7716 0.3040
O 0.0239 0.2471 0.1896
Si 0.8338 0.6897 0.2559
Y 0.1681 0.6667 0.5206
Al 0.8304 0.3100 0.6815
S 0.1531 0.2908 0.7417
Na 0.6779 0.6577 0.1653
Y 0.5118 0.0079 0.6397
S 0.3381 0.0403 0.0949
What sucks in your picture is that you are taking your view on Christianity and calling others out about it. That's verging on extremeism.
You can believe in whatever Sky Fairy you like. I don't gve a rat's ass. The wars between Catholics/Muslims/Other Christians are all down to your own interpretations of your holy books.
Don't JW believe Jesus was nailed to/hung from a tree rather than a cross?
-- Attached: data records --
=====
No. 1
# Hf3Sb7Pd r2SCAN optimized geometry
# M_tot ... 0.00 μB per cell
# Calculated total energy ... -31.23 eV/atom
data_Hf3Sb7Pd
_chemical_formula_sum 'Hf12 Sb28 Pd4'
_space_group_name_H-M_alt 'P n m a'
_space_group_IT_number 62
_space_group_name_Hall '-P 2ac 2n'
_cell_length_a 17.546
_cell_length_b 3.966
_cell_length_c 14.634
_cell_angle_alpha 90.00
_cell_angle_beta 90.00
_cell_angle_gamma 90.00
loop_
_atom_site_label
_atom_site_type_symbol
_atom_site_fract_x
_atom_site_fract_y
_atom_site_fract_z
Hf1 Hf 0.107 0.250 0.087
Hf2 Hf 0.130 0.250 0.532
Hf3 Hf 0.152 0.250 0.811
Sb1 Sb 0.020 0.750 0.195
Sb2 Sb 0.037 0.750 0.429
Sb3 Sb 0.072 0.750 0.940
Sb4 Sb 0.094 0.750 0.677
Sb5 Sb 0.217 0.250 0.321
Sb6 Sb 0.227 0.750 0.148
Sb7 Sb 0.248 0.750 0.481
Pd1 Pd 0.064 0.250 0.310

=====

No. 2
# Hf2TcPd r2SCAN optimized geometry
# M_tot ... 0.00 μB per cell
# Calculated total energy ... -35.46 eV/atom
data_Hf2TcPd
_chemical_formula_sum 'Hf8 Tc4 Pd4'
_space_group_name_H-M_alt 'F m -3 m'
_space_group_IT_number 225
_space_group_name_Hall '-F 4 2 3'
_cell_length_a 6.537
_cell_length_b 6.537
_cell_length_c 6.537
_cell_angle_alpha 90.00
_cell_angle_beta 90.00
_cell_angle_gamma 90.00
loop_
_atom_site_label
_atom_site_type_symbol
_atom_site_fract_x
_atom_site_fract_y
_atom_site_fract_z
Hf1 Hf 0.250 0.250 0.250
Tc1 Tc 0.000 0.000 0.000
Pd1 Pd 0.000 0.000 0.500

=====

No. 3
# Pr3HfSb5 r2SCAN optimized geometry
# M_tot ... 0.00 μB per cell
# Calculated total energy ... -30.18 eV/atom
data_Pr3HfSb5
_chemical_formula_sum 'Pr6 Hf2 Sb10'
_space_group_name_H-M_alt 'P 63/m c m'
_space_group_IT_number 193
_space_group_name_Hall '-P 6c 2'
_cell_length_a 9.6644
_cell_length_b 9.6644
_cell_length_c 6.2620
_cell_angle_alpha 90.00
_cell_angle_beta 90.00
_cell_angle_gamma 120.00
loop_
_atom_site_label
_atom_site_type_symbol
_atom_site_fract_x
_atom_site_fract_y
_atom_site_fract_z
Pr1 Pr 0.0000 0.3803 0.2500
Hf1 Hf 0.0000 0.0000 0.0000
Sb1 Sb 0.0000 0.2584 0.7500
Sb2 Sb 0.3333 0.6667 0.0000

=====

No. 4
# HfPt3 r2SCAN optimized geometry
# M_tot ... 0.00 μB per cell
# Calculated total energy ... -51.09 eV/atom
data_HfPt3
_chemical_formula_sum 'Hf4 Pt12'
_space_group_name_H-M_alt 'P 63/m m c'
_space_group_IT_number 194
_space_group_name_Hall '-P 6c 2c'
_cell_length_a 5.6630
_cell_length_b 5.6630
_cell_length_c 9.2524
_cell_angle_alpha 90.00
_cell_angle_beta 90.00
_cell_angle_gamma 120.00
loop_
_atom_site_label
_atom_site_type_symbol
_atom_site_fract_x
_atom_site_fract_y
_atom_site_fract_z
Hf1 Hf 0.0000 0.0000 0.0000
Hf2 Hf 0.3333 0.6667 0.2500
Pt1 Pt 0.0000 0.5000 0.0000
Pt2 Pt 0.1694 0.3388 0.7500

=====

No. 5
# Hf2Pt3 r2SCAN optimized geometry
# M_tot ... 0.00 μB per cell
# Calculated total energy ... -50.17 eV/atom
data_Hf2Pt3
_chemical_formula_sum 'Hf4 Pt6'
_space_group_name_H-M_alt 'I 4/m m m'
_space_group_IT_number 139
_space_group_name_Hall '-I 4 2'
_cell_length_a 3.455
_cell_length_b 3.455
_cell_length_c 14.686
_cell_angle_alpha 90.00
_cell_angle_beta 90.00
=====
If people who don't belive the same as you are defying Jesus himself, then I'm on the Highway to Hell.
This is one of those "keep your bloody opinions to yourself, AJ" discussions.
There are many religions as well as variations on single religions.
You can't all be right.
You keep your faith if it helps you, but it doesn't help me. Not one bloody iota.
Me, I'll make my own path.
He was hung on a stake and not a cross. The cross is another one of those pagan merges that so many people buy into. Romans used stakes as a rule, as wood as scarce in that region. So using two pieces of wood instead of just one made no practical sense. In addition to that, the original words use in Greek that so many translate as cross actually translates as stake or tree. Most of what most people believe about Christianity is pretty bastardized.
Isn't that "He was hung on a stake according to one version of some writings that nobody can really prove"?
And wouldn't the original words be in Aramaic?
@PSX_Defector Ain't nothing going slow ME down
Ok, I'll bite.
It's an established fact that ''The Church" took existing pagan festivals and subverted them to persuade people to convert to Christianity.
What sucks in your picture is that you are taking your view on Christianity and calling others out about it. That's verging on extremeism.
You can believe in whatever Sky Fairy you like. I don't gve a rat's ass. The wars between Catholics/Muslims/Other Christians are all down to your own interpretations of your holy books.
Don't JW believe Jesus was nailed to/hung from a tree rather than a cross?
If people who don't belive the same as you are defying Jesus himself, then I'm on the Highway to Hell.
This is one of those "keep your bloody opinions to yourself, AJ" discussions.
There are many religions as well as variations on single religions.
You can't all be right.
You keep your faith if it helps you, but it doesn't help me. Not one bloody iota.
Me, I'll make my own path.
@thanksaj said:
Yeah, but other than you, I don't think anyone here has the expertise to write that kind of script, not to mention time or desire. It's almost like someone downvoted a post, it wiped out everything up to that point, and started over.
That's a bit uncalled for, AJ. So we're all chopped liver that can't do diddley?
Here's a bit of "interesting" IT history.
When man was put on the moon, the return involved hitting a spot the size of an envelope. Too high? Off into space. Too low? Burn up on reentry.
The computing power we had could only calculate where the moon was to within about a mile.
@art_of_shred I didn't think you lot did subtle humour...